Listing >
Density functional theory data (PBE-GGA) for a geometry-optimized LiBe2Ir structure.

Unit cell a=2.7657 b=4.3812 c=7.9895 alpha=90.00 beta=90.00 gamma=90.00
Space group Cmm2 (No. 35)
One atom of each set of equivalent atoms:
Li 0.0000 0.0000 0.0000
Be 0.0000 0.0000 0.5007
Be 0.0000 0.5000 0.7263
Ir 0.0000 0.5000 0.2733

V: 96.8 Å³/cell
energy relative to the elements: 101 meV per atom
mass density: 7.45 g/cm³
energy: -4.4556 eV per atom

=====

Here is crystalline AlCrIrO6 at its relaxed geometry from Alexandria. Energies are from GGA+U.

a = 4.5037 Å, b = 4.5037 Å, c = 9.0328 Å
α = 90.00°, β = 90.00°, γ = 90.00°
Fractional positions:
Al 0.0000 0.0000 0.0000
Al 0.5000 0.5000 0.5000
Cr 0.0000 0.0000 0.6676
Cr 0.5000 0.5000 0.1676
Ir 0.0000 0.0000 0.3333
Ir 0.5000 0.5000 0.8333
O 0.1920 0.1920 0.1633
O 0.1979 0.1979 0.8388
O 0.2014 0.2014 0.4998
O 0.2986 0.7014 0.9998
O 0.3021 0.6979 0.3388
O 0.3080 0.6920 0.6633
O 0.6920 0.3080 0.6633
O 0.6979 0.3021 0.3388
O 0.7014 0.2986 0.9998
O 0.7986 0.7986 0.4998
O 0.8021 0.8021 0.8388
O 0.8080 0.8080 0.1633

Fermi-level density of states in states/eV per atom: 0.313
Calculated total energy in eV per atom: -7.1833
Space group: P4_2nm, No. 102

To do >
It remains to echo all of the contents further up with every line break kept.

Written answer >
Density functional theory data (PBE-GGA) for a geometry-optimized LiBe2Ir structure.

Unit cell a=2.7657 b=4.3812 c=7.9895 alpha=90.00 beta=90.00 gamma=90.00
Space group Cmm2 (No. 35)
One atom of each set of equivalent atoms:
Li 0.0000 0.0000 0.0000
Be 0.0000 0.0000 0.5007
Be 0.0000 0.5000 0.7263
Ir 0.0000 0.5000 0.2733

V: 96.8 Å³/cell
energy relative to the elements: 101 meV per atom
mass density: 7.45 g/cm³
energy: -4.4556 eV per atom

=====

Here is crystalline AlCrIrO6 at its relaxed geometry from Alexandria. Energies are from GGA+U.

a = 4.5037 Å, b = 4.5037 Å, c = 9.0328 Å
α = 90.00°, β = 90.00°, γ = 90.00°
Fractional positions:
Al 0.0000 0.0000 0.0000
Al 0.5000 0.5000 0.5000
Cr 0.0000 0.0000 0.6676
Cr 0.5000 0.5000 0.1676
Ir 0.0000 0.0000 0.3333
Ir 0.5000 0.5000 0.8333
O 0.1920 0.1920 0.1633
O 0.1979 0.1979 0.8388
O 0.2014 0.2014 0.4998
O 0.2986 0.7014 0.9998
O 0.3021 0.6979 0.3388
O 0.3080 0.6920 0.6633
O 0.6920 0.3080 0.6633
O 0.6979 0.3021 0.3388
O 0.7014 0.2986 0.9998
O 0.7986 0.7986 0.4998
O 0.8021 0.8021 0.8388
O 0.8080 0.8080 0.1633

Fermi-level density of states in states/eV per atom: 0.313
Calculated total energy in eV per atom: -7.1833
Space group: P4_2nm, No. 102